********
DFT (SCAN) results for a crystal of CsHg3Rh relaxed with PBEsol.

abc: 5.270 5.270 5.270
angles: 90.00 90.00 90.00
Positions (direct):
Hg  0.500  0.000  0.000
Cs  0.500  0.500  0.500
Hg  0.000  0.000  0.500
Hg  0.000  0.500  0.000
Rh  0.000  0.000  0.000

Computed properties:
Energy relative to the elements (eV/atom): -0.257
Magnetization (μB/f.u.): 0.000
DOS(E_F) (states/eV per cell): 1.7

* * * * *

Version w
Compound: La3PrY4
Source: Alexandria
Functional: PBE
Structure: relaxed

Crystal system: orthorhombic
Calculated volume (Å³ per cell): 278.6
Magnetic moment (Bohr magnetons per cell): 0.00
Mass density (Mg/m³): 5.44

Cell lengths 3.495, 9.127, 9.127 Å; angles 81.51, 78.96, 78.96 degrees
Sites, in units of the cell vectors:
Y (0.634, 0.616, 0.115)
Y (0.366, 0.384, 0.885)
Y (0.634, 0.115, 0.616)
Y (0.366, 0.885, 0.384)
La (0.000, 0.500, 0.500)
La (0.242, 0.758, 0.758)
La (0.758, 0.242, 0.242)
Pr (0.500, 0.000, 0.000)

Version x
Compound: La3PrY4
Source: Alexandria
Functional: PBE
Structure: relaxed

Crystal system: orthorhombic
Calculated volume (Å³ per cell): 556.4
Magnetic moment (Bohr magnetons per cell): 0.00
Mass density (Mg/m³): 5.45

Cell lengths 6.412, 7.385, 11.750 Å; angles 90.00, 90.00, 90.00 degrees
Sites, in units of the cell vectors:
La (0.977, 0.624, 0.250)
La (0.977, 0.624, 0.750)
La (0.152, 0.374, 0.500)
La (0.652, 0.626, 0.000)
La (0.477, 0.376, 0.250)
La (0.477, 0.376, 0.750)
Y (0.649, 0.122, 0.000)
Y (0.149, 0.878, 0.500)
Y (0.981, 0.121, 0.249)
Y (0.481, 0.879, 0.749)
Y (0.481, 0.879, 0.251)
Y (0.981, 0.121, 0.751)
Y (0.149, 0.878, 0.000)
Y (0.649, 0.122, 0.500)
Pr (0.650, 0.628, 0.500)
Pr (0.150, 0.372, 0.000)

Tell me which of them is the most stable. Sure, it is version x.

Version w
Compound: La12Pr5Y2
Source: Alexandria
Functional: PBE
Structure: relaxed

Crystal system: triclinic
Calculated volume (Å³ per cell): 690.5
Magnetic moment (Bohr magnetons per cell): 0.00
Mass density (Mg/m³): 6.13

Cell lengths 6.463, 9.731, 12.857 Å; angles 72.55, 66.83, 94.70 degrees
Sites, in units of the cell vectors:
La (0.338, 0.827, 0.371)
La (0.887, 0.052, 0.137)
La (0.662, 0.173, 0.629)
La (0.207, 0.592, 0.029)
La (0.788, 0.938, 0.453)
La (0.113, 0.948, 0.863)
La (0.242, 0.451, 0.404)
La (0.357, 0.336, 0.889)
La (0.758, 0.549, 0.596)
La (0.212, 0.062, 0.547)
La (0.643, 0.664, 0.111)
La (0.793, 0.408, 0.971)
Y (0.074, 0.308, 0.716)
Y (0.926, 0.692, 0.284)
Pr (0.296, 0.213, 0.223)
Pr (0.500, 0.000, 0.000)
Pr (0.249, 0.690, 0.693)
Pr (0.751, 0.310, 0.307)
Pr (0.704, 0.787, 0.777)

Version x
Compound: La12Pr5Y2
Source: Alexandria
Functional: PBE
Structure: relaxed

Crystal system: monoclinic
Calculated volume (Å³ per cell): 696.2
Magnetic moment (Bohr magnetons per cell): 0.00
Mass density (Mg/m³): 6.08

Cell lengths 7.622, 11.407, 10.323 Å; angles 57.64, 90.00, 109.52 degrees
Sites, in units of the cell vectors:
La (0.908, 0.317, 0.532)
La (0.068, 0.665, 0.836)
La (0.510, 0.019, 0.316)
La (0.932, 0.335, 0.164)
La (0.592, 0.683, 0.468)
La (0.008, 0.016, 0.202)
La (0.092, 0.683, 0.468)
La (0.403, 0.335, 0.164)
La (0.408, 0.317, 0.532)
La (0.597, 0.665, 0.836)
La (0.992, 0.984, 0.798)
La (0.490, 0.981, 0.684)
Y (0.297, 0.000, 0.000)
Y (0.703, 0.000, 0.000)
Pr (0.323, 0.646, 0.156)
Pr (0.000, 0.000, 0.500)
Pr (0.825, 0.651, 0.185)
Pr (0.677, 0.354, 0.844)
Pr (0.175, 0.349, 0.815)

Tell me which of them is the most stable. Sure, it is version w.

Version w
Compound: La2Pr3Y8
Source: Alexandria
Functional: PBE
Structure: relaxed

Crystal system: monoclinic
Calculated volume (Å³ per cell): 462.2
Magnetic moment (Bohr magnetons per cell): 0.00
Mass density (Mg/m³): 5.07

Cell lengths 5.717, 7.747, 11.131 Å; angles 110.36, 90.05, 90.00 degrees
Sites, in units of the cell vectors:
Y (0.999, 0.336, 0.671)
Y (0.001, 0.664, 0.329)
Y (0.500, 0.396, 0.213)
Y (0.500, 0.183, 0.787)
Y (0.000, 0.869, 0.739)
Y (0.500, 0.817, 0.213)
Y (0.000, 0.131, 0.261)
Y (0.500, 0.604, 0.787)
Pr (0.000, 0.707, 0.000)
Pr (0.500, 0.000, 0.000)
********
The reader should filter the calculation results further above: keep the lines with the word "Magnetization".
Magnetization (μB/f.u.): 0.000